– Do not send luggage now – news Norway – Overview of news from different parts of the country
_These calculated molecules were left in the article by mistake_
1.
# C22H19CaCl2N2O7S4

A structure of composition C22H19CaCl2N2O7S4 (ωB97M-V/def2-TZVPD, the Open Molecules 2025 dataset).

Properties
* lowest unoccupied orbital energy: 2.152 eV
* ΔE to the lowest compared entry with this formula, charge and spin: 45.7 kcal/mol
* gap between HOMO and LUMO: 0.241 hartree
* net charge: -1

Structure (XYZ):
```
57
Properties=species:S:1:pos:R:3:forces:R:3:mulliken_charge:R:1
Ca -1.567557 0.570504 -0.293317 0.7 1.9 -0.3 1.87
S -0.867923 1.570841 4.134793 0.1 -0.3 0.0 -0.36
C -1.224183 2.525255 2.835398 -0.4 0.2 0.3 0.20
S -2.694936 2.276824 1.841171 0.3 0.4 0.0 0.07
S -0.471732 3.984119 2.418667 0.0 0.0 -0.4 -0.46
Cl -5.947771 -2.463467 -5.347840 -0.1 -0.1 -0.1 -0.26
C -5.022093 -1.466065 -4.260954 0.0 0.0 0.0 0.30
C -5.381823 -0.116099 -4.108605 0.2 0.0 0.1 -0.64
C -4.639065 0.680266 -3.287391 0.0 0.0 0.0 0.22
Cl -5.061779 2.347719 -3.102609 0.0 0.1 0.0 -0.23
C -3.488258 0.217159 -2.544323 -0.2 -0.1 -0.4 0.06
O -2.802641 1.017594 -1.861091 -1.5 0.3 -2.0 -0.75
C -3.214978 -1.190944 -2.681966 -0.2 0.4 0.1 0.97
C -2.201702 -1.859161 -1.910824 0.1 -0.5 -0.2 -0.21
O -1.405765 -1.389190 -1.102560 -0.1 -1.6 -0.9 -0.78
C -3.975643 -1.986854 -3.561377 0.0 -0.1 0.1 -1.17
H -6.237612 0.287157 -4.631236 0.0 0.0 0.0 0.44
H -2.165402 -2.951491 -2.094315 0.0 0.1 0.0 0.18
H -3.714698 -3.033430 -3.666609 -0.1 0.0 0.0 0.38
C 2.900213 1.089026 -2.924292 0.0 -0.1 0.0 -0.60
O 2.104679 2.182836 -2.477252 -0.2 0.1 0.1 -0.51
C 0.884327 1.861063 -1.970707 0.2 -0.3 -0.4 0.84
O 0.426097 0.732790 -1.998652 0.0 0.4 0.0 -0.50
N 0.285638 2.963004 -1.496141 0.1 0.4 0.0 -0.27
N -0.875620 2.868018 -0.731979 0.1 0.5 0.0 -0.12
H 3.518363 1.463816 -3.736420 0.0 0.0 0.0 0.31
H 2.269393 0.272849 -3.270192 0.0 0.0 0.0 0.27
H 3.534229 0.737404 -2.108030 0.0 0.0 0.0 0.18
H 0.812224 3.821628 -1.513449 0.0 0.0 0.1 0.26
H -1.656460 3.314707 -1.201380 0.0 0.0 -0.1 0.27
H -0.728215 3.307473 0.192104 0.0 -0.1 -0.1 -0.03
O 0.169688 0.673193 0.839495 1.6 0.3 1.2 0.21
S 1.210280 -0.313515 0.465898 1.6 -0.9 1.2 0.19
C 2.674073 0.251007 1.384251 0.1 0.1 -0.2 0.56
C 3.910177 -0.339588 1.162865 0.0 0.0 -0.1 -0.38
C 5.010506 0.097603 1.882795 0.0 -0.1 0.0 -0.69
C 4.865429 1.110657 2.822960 0.0 0.0 0.0 -0.46
C 3.626173 1.700190 3.027347 0.1 0.0 0.0 -0.78
C 2.523581 1.278112 2.298286 -0.3 0.1 0.0 0.24
C 0.991825 -1.732679 1.553523 -0.1 -0.2 -0.2 0.65
C 0.212943 -1.649419 2.692323 -0.1 0.2 0.0 -0.06
C 0.165572 -2.743649 3.544693 0.0 -0.1 0.0 -0.82
C 0.881779 -3.896422 3.252416 0.0 0.0 0.0 -0.43
C 1.625050 -3.981474 2.081593 0.0 0.0 0.0 -0.69
C 1.669640 -2.896884 1.221519 0.0 0.1 -0.1 -0.58
H 4.012842 -1.139683 0.438613 0.0 0.0 0.0 0.35
H 5.976860 -0.359294 1.710337 0.0 0.0 0.0 0.39
H 5.725031 1.436411 3.395413 0.0 0.0 0.0 0.38
H 3.502227 2.491805 3.754406 0.0 0.0 0.0 0.48
H 1.548790 1.732382 2.449338 0.0 0.0 0.0 -0.18
H -0.338805 -0.741424 2.918365 0.0 0.0 0.0 0.06
H -0.429211 -2.686156 4.446774 0.0 0.0 0.0 0.46
H 0.854092 -4.739842 3.931105 0.0 0.0 0.0 0.37
_The article goes on_

– I had little in my hand luggage, so the first day at Naxos I went shopping. It was quite hot with denim in 30 degrees … That’s what Tone Berge says. She left Flesland on Friday 17 June and turned her nose south to Athens, with a stopover in Copenhagen. “Arriving in Greece, we were left standing after the last suitcase was taken off the tape,” she tells news. Both Berge and her husband were without suitcases, and in the Greek capital, their luggage was reported lost. WITHOUT Luggage: Tone Berge and her husband lost their luggage on the way to the island of Naxos in Greece. When the luggage is finally reunited with the owners, they have been without it for 11 days. Photo: private – Travel only with hand luggage The couple from Bergen are not alone in losing their suitcases this summer. Airports around Europe are struggling to handle luggage, due to a combination of lack of personnel and increased numbers of passengers. And now the outing starts in full. In If, they have from May to June seen an increase in delayed luggage of over 100 percent, and they think it will be even worse. CABIN CASE: The insurance companies advise you to do as this lady at Schiphol in Amsterdam – to choose a suitcase you can take with you on the plane. Photo: Piroschka vann de Wouw / Reuters – The increase is significant, and we are past the previous normal year which was in 2019, says communications director Andreas Handeland in If. The advice is therefore clear from all of them: Drop checked baggage. – When we look at the development in the number of inquiries, we are clear that this summer you should only travel with hand luggage. Do not send luggage now. That’s what Ole Irgens, communications manager at Tryg insurance, says. DROP CHECKED BAGGAGE: Ole Irgens in Tryg warns, like the other insurance companies, to send luggage this summer. Photo: press photo Also in Gjensidige, customers on holiday have also called who have lost their luggage now. – The biggest trouble is in Rome and at Schiphol, says Bjarne Aani Rysstad, who is communications manager at Gjensidige. – Many shifts in the last days of the holiday Tone Berge and her husband received codes to be able to follow their luggage on the journey down to Greece, and the couple tried to search for the luggage in the following days, without success. There were several telephones and emails, but no one had news about their suitcases. Yesterday the trip continued to the island of Koufonissi, still without luggage. – After checking into the hotel here, they called from the airport on Naxos – then the suitcases had arrived there. The couple has decided to leave their luggage at the hotel in Naxos to avoid further complications. They will return to the island over the weekend, and spend the last holidays there, until July 2. Then they have been without luggage 11 days of the 16-day holiday. – At least we have many shifts in the last days of the holiday! For the record: Tone Berge works for news Vestland. How to travel with only hand luggage The advice from the insurance companies is clear: Leave the largest suitcases at home, and try to pack smartly – in cabin luggage. Dagmar Bern, who has written a book about packing small things, tells news that one should be most ruthless about toiletries. – Bring samples of cosmetics and creams, or buy what you need locally when you arrive. URINE SAMPLES: Glasses from the pharmacy intended for urine samples are perfect for shampoo, conditioner and cleanser, according to Dagmar Bern. Photo: private If you travel south in Europe, you can safely pack the thinnest garments, and they should always be rolled in the suitcase, not folded. This is how you save a lot of space, she reminds. – Also bring some Biotex or other washing powder and wash clothes along the way. People blow in if you wear the same dress several times. PACK SMART: Dagmar Bern has written a book about packing small, and says she can travel well on a week’s holiday with only a cabin suitcase. Photo: private She also believes that it is completely unnecessary to pack the “just in case” garments. – Just bring your favorite clothes, the ones you know you will use. You do not need many shoes on holiday, according to her. Only one pair of good shoes, and one pair of lightweight ones. – Travel in the heaviest and bring the lightest. Here are your rights If you still have to bring checked luggage and this disappears while you are traveling, you have some rights in your travel insurance. It will cover the purchase or rental of necessary equipment as long as you are without your luggage, says Bjarne Aani Rysstad in Gjensidige. In Tryg, If and in Gjensidige, up to NOK 5,000 is paid per person for necessary articles. Previously, it was a given number of hours the suitcase had to be gone, now the insurance applies if the luggage does not come with the same plane as you, Ole Irgens in Tryg informs. – But it must of course be in proportion. If it arrives after an hour, then you do not need a summer collection and a new set of toiletries. REMEMBER PIR: Communications Director Bjarne Aani Rysstad in Gjensidige reminds that you must be able to document delayed luggage with a report you receive after arriving at the airport. Photo: Mats Stordal Remember to go to the counter Payment for delayed luggage requires documentation from all insurance companies. Upon arrival, you must contact the airline’s arrival service and request a PIR report. You must have this to cover your purchases, because it confirms on the spot that the luggage has not arrived. – Remember that the purchases must be documented, so take care of all receipts, reminds Rysstad in Gjensidige. Tips! Hey! Have you lost your luggage in the last few days? Then we would like to hear from you!
